Monday, 27 January 2014

Newsflash: God Does Not Have a Plan for Your Life*

### Materials data, kept here for reference
- - -
{
  "formula": "Li6Zn3P4S16",
  "functional": "GGA-PBE",
  "state": "relaxed",
  "cell": [[9.3352, 0.0000, 0.0000], [0.0016, 11.6083, 0.0000], [0.0221, 0.0351, 23.1477]],
  "species": ["Li", "Li", "Li", "Li", "Li", "Li", "Li", "Li", "Li", "Li", "Li", "Li", "Li", "Li", "Li", "Li", "Li", "Li", "Li", "Li", "Li", "Li", "Li", "Li", "Zn", "Zn", "Zn", "Zn", "Zn", "Zn", "Zn", "Zn", "Zn", "Zn", "Zn", "Zn", "P", "P", "P", "P", "P", "P", "P", "P", "P", "P", "P", "P", "P", "P", "P", "P", "S", "S", "S", "S", "S", "S", "S", "S", "S", "S", "S", "S", "S", "S", "S", "S", "S", "S", "S", "S", "S", "S", "S", "S", "S", "S", "S", "S", "S", "S", "S", "S", "S", "S", "S", "S", "S", "S", "S", "S", "S", "S", "S", "S", "S", "S", "S", "S", "S", "S", "S", "S", "S", "S", "S", "S", "S", "S", "S", "S", "S", "S", "S", "S"],
- - -

*OK. Hold the phones. This blog title may or may not be a sensational exaggeration employed for rhetorical effect. Please don't throw anything at me. Put down your rocks. Thank you. Now we all feel better.

There was a point to that sensationalism, though. It's this: many Christians are unhealthily obsessed with what I call 'the plan'. I'm talking about 'God's plan for your life', the idea that God is pursuing "His will" in every minute detail of a person's life. That when you become a Christian everything - the job you get, the person you marry, the place you live, the weather you wake up to, the availability of parking spaces (yep, I mean everything) - is subject what God has decreed. Sometimes our understanding of God's plan for our lives balloons into a scheme of dizzying complexity. The level of precision planning involved is about the same as a heist to steal the crown jewels. A Biblical basis for 'the plan' is often based on one key verse:
"I say this because I know what I am planning for you," says the LORD. "I have good plans for you, not plans to hurt you. I will give you hope and a good future."
Jeremiah 29:11

It probably wouldn't be an exaggeration to say that this is the single most prominent abuse of reading a Bible passage in separation from its original context, and morphing it to mean something completely different. Let me be quite clear. It simply isn't possible to read this verse as an endorsement of 'the plan'. Jeremiah 29:11 is not a blank cheque that entitles us to a perfect life devoid of difficulties. It is not a ticket to a picket-fenced dream where God has our marriage partner, career path and church role worked out for us from the year dot. It does not mean that there is only one chosen route that our lives can take that God is ever happy with.

If we're going to get closer to what Jeremiah 29:11 means for us then ripping one verse apart from its surrounding context isn't an option (ignoring context is always a recipe for disaster). And that context is a letter, sent by Jeremiah to a group of exiled and captive people in a foreign land. God's chosen people were used to dwelling securely in Israel under His protection and so much of their faith was based on their land. What do you do when a Babylonian king conquers your land and trashes your Temple (2 Chronicles 36:15-21)? Is God...gone? Defeated? Where is He in all this? In other words, Jeremiah 29 is written to a people who don't have purpose. It is an injection of hope.

Attached: materials data:
********
Entry 1:
A plane-wave DFT calculation with PBE-GGA was carried out for a relaxed structure of CaTiO2.

a b c (Å): 9.2725 9.2725 11.7641
angles (deg): 128.54 128.54 18.34
Fractional coordinates of all 16 atoms:
Ca (0.0675, 0.0675, 0.2743)
Ca (0.3655, 0.3655, 0.9343)
Ca (0.6345, 0.6345, 0.0657)
Ca (0.9325, 0.9325, 0.7257)
Ti (0.2058, 0.2058, 0.6155)
Ti (0.3366, 0.3366, 0.1498)
Ti (0.6634, 0.6634, 0.8502)
Ti (0.7942, 0.7942, 0.3845)
O (0.0900, 0.0900, 0.8661)
O (0.1733, 0.1733, 0.7331)
O (0.1927, 0.1927, 0.2620)
O (0.3560, 0.3560, 0.5387)
O (0.6440, 0.6440, 0.4613)
O (0.8073, 0.8073, 0.7380)
O (0.8267, 0.8267, 0.2669)
O (0.9100, 0.9100, 0.1339)

Properties
* offset from the most stable computed form: 223 meV per atom
* energy of formation from the pure elements: -2.728 eV per atom

***

Entry 2:
A plane-wave DFT calculation with PBE-GGA was carried out for a relaxed structure of CaTiO2.

a b c (Å): 3.0274 8.3386 8.3839
angles (deg): 93.06 90.74 100.08
Fractional coordinates of all 16 atoms:
Ca (0.1410, 0.2390, 0.4304)
Ca (0.2773, 0.5421, 0.1762)
Ca (0.7227, 0.4579, 0.8238)
Ca (0.8590, 0.7610, 0.5696)
Ti (0.0321, 0.1022, 0.7775)
Ti (0.4086, 0.8360, 0.9070)
Ti (0.5914, 0.1640, 0.0930)
Ti (0.9679, 0.8978, 0.2225)
O (0.1446, 0.2896, 0.9601)
O (0.3052, 0.6351, 0.7392)
O (0.3612, 0.7583, 0.3470)
O (0.4512, 0.9462, 0.6961)
O (0.5488, 0.0538, 0.3039)
O (0.6388, 0.2417, 0.6530)
O (0.6948, 0.3649, 0.2608)
O (0.8554, 0.7104, 0.0399)

Properties
* offset from the most stable computed form: 0 meV per atom
* energy of formation from the pure elements: -2.951 eV per atom

***

Entry 3:
A plane-wave DFT calculation with PBE-GGA was carried out for a relaxed structure of CaTi2O6.

a b c (Å): 10.0305 8.9790 5.2252
angles (deg): 90.00 90.10 90.00
Fractional coordinates of all 36 atoms:
Ca (0.2504, 0.0038, 0.0072)
Ca (0.2504, 0.4962, 0.5072)
Ca (0.7496, 0.5038, 0.4928)
Ca (0.7496, 0.9962, 0.9928)
Ti (0.0095, 0.1619, 0.5078)
Ti (0.0095, 0.3381, 0.0078)
Ti (0.4884, 0.6773, 0.9992)
Ti (0.4884, 0.8227, 0.4992)
Ti (0.5116, 0.1773, 0.5008)
Ti (0.5116, 0.3227, 0.0008)
Ti (0.9905, 0.6619, 0.9922)
Ti (0.9905, 0.8381, 0.4922)
O (0.1019, 0.1799, 0.8309)
O (0.1019, 0.3201, 0.3309)
O (0.1037, 0.6769, 0.3241)
O (0.1037, 0.8231, 0.8241)
O (0.1085, 0.0006, 0.3702)
O (0.1085, 0.4994, 0.8702)
O (0.3854, 0.6817, 0.6882)
O (0.3854, 0.8183, 0.1882)
O (0.3965, 0.0039, 0.6414)
O (0.3965, 0.4961, 0.1414)
O (0.4036, 0.1752, 0.1865)
O (0.4036, 0.3248, 0.6865)
O (0.5964, 0.6752, 0.3135)
O (0.5964, 0.8248, 0.8135)
O (0.6035, 0.5039, 0.8586)
O (0.6035, 0.9961, 0.3586)
O (0.6146, 0.1817, 0.8118)
O (0.6146, 0.3183, 0.3118)
O (0.8915, 0.5006, 0.1298)
O (0.8915, 0.9994, 0.6298)
O (0.8963, 0.1769, 0.1759)
O (0.8963, 0.3231, 0.6759)
O (0.8981, 0.6799, 0.6691)
O (0.8981, 0.8201, 0.1691)

Properties
* energy of formation from the pure elements: -2.931 eV per atom

***

Entry 4:
A plane-wave DFT calculation with PBE-GGA was carried out for a relaxed structure of CaTi2O6.

a b c (Å): 7.2373 7.2373 5.1825
********

But what it decisively does not state is that God is going to make everything perfect overnight. In fact, it says the precise opposite. Its message is that God has not left Israel and that He will restore His people to a place of blessing - but not yet. They are going to have to wait 70 years (v10). It'll be a whole generation before God brings these promises to fruition. The message is 'settle in, build houses, grow some stuff, let your kids get married - this is going to take a while' (v5-6). The harsh reality is that God's plan for His people's lives, in the short term at least, when Jeremiah is writing is exile, exclusion and servitude in a foreign land. In fact, Jeremiah 29 is actively hostile to the idea that God's going to burst in with all guns blazing and provide a quick fix. God warns against the teachings of false prophets (v8-9). The identity of these false prophets isn't obvious but it seems reasonable that God could be referring to people like Hananiah, who challenged Jeremiah in chapter 28 by teaching that the exile would last only two years (Jeremiah 28:1-3). Claiming that Jeremiah 29 safeguards a Christian from pain, unhappiness or tragedy simply isn't being fair to the text.

Sometimes life sucks. That's when we tend to get disillusioned with 'the plan'. If we believe that God has predetermined every little detail then we wonder why God's plan for us involves so much bad stuff. What we need is a worldview that insists on God's sovereignty (on God being involved and in overall control) but also allows there to be such a thing as chance. Is God capable of determining every little thing in His universe? Of course He is (He's God, duh). We just have no reason to believe that He does. When two people bump into one another in the street that could be because God really wanted them to have a conversation. Or it could just be because they live in the same town and happened to walk down the same road. More often than not (although not every time) these everyday details will be down to pure and simple coincidence. Digging for some deeper purpose behind everything simply isn't necessary.

The truth is that the real reason why we make Jeremiah 29:11 fit into some divine masterplan is probably too close to home. We want God to have a plan for our careers, our love lives and where we live because those are the things that we care about. Ultimately, we have to ask seriously if we're way too focused on ourselves. Are we open to the possibility that God may not actually care whether we go to university or not, let alone which one we go to or what we study? Or that God could be completely apathetic about what job we choose to apply for? Or that there are a range of suitable marriage partners out there rather than just one ideal person that we have to find? This is not an easy truth to realise. It requires some tough soul-searching and the realisation that God's priorities for your life may not be the same as your own. It's a process that I'm going through myself as I prepare to graduate into the big, bad world. I'm having to continually give myself perspective about what's important. I'm happy to have a range of options open to me, and for God to give me the freedom to choose between them myself. Of course, God does sometimes call people into specific locations or circumstances and so it's always good to remain prayerful. But, frankly, Christian young people would be less stressed if they didn't feel like they had to find 'the plan'.

Back to my disclaimer. The truth is that God does have a plan for your life. I guarantee it. God's plan for you has been forged since before the beginning of the world (Matthew 25:34). Are you ready? God's plan for you has always been that you should be His child (Ephesians 1:4-5). Being a son or a daughter - this is your primary vocation. Your finite earthly life could go in any one of a million directions and that overarching endpoint wouldn't change one iota. God may or may not want you to be in specific places or relationships or situations in your future. But, fortunately, God's plan for you is so much bigger than any of those things. It is a plan which prioritises identity over vocation. Which is concerned with how we live as well as what we do. Which is perhaps not as rigid as we sometimes like to think. It's the plan that offered hope to Jeremiah's audience in the realisation that God's plans for them were so much bigger than their current circumstances. It's the plan that involves every detail of our lives but which is greater than the sum of its parts. We would be wise to pursue it first and foremost.